┌──
No. 1
The following is a quantum chemistry calculation of C16H6Cl8EuISi as an isolated structure in a non-equilibrium geometry, from the OMol25 dataset.

The geometry in XYZ format:
```
33
Properties=species:S:1:pos:R:3:forces:R:3
Eu 1.086970 -0.599923 -1.145211 -0.1 -0.4 0.5
Cl -2.483082 -0.306869 -2.738488 -0.5 0.0 -0.4
C -1.531953 1.125051 -2.891152 2.2 2.5 -0.4
C -0.432283 1.240747 -2.059238 1.1 -0.1 1.3
C 0.480854 2.323096 -1.932311 -2.7 -1.3 -1.8
Cl 1.847336 2.251508 -0.790211 -0.4 0.2 -0.2
C 0.301760 3.357888 -2.823444 -1.3 -0.7 -1.2
Cl 1.206615 4.797850 -2.711808 0.4 0.6 -0.3
C -0.712362 3.189508 -3.873323 0.9 -0.1 0.1
Cl -0.425533 4.096063 -5.380825 -0.6 -0.1 1.0
C -1.676445 2.150309 -3.901187 1.2 -0.5 2.1
Cl -2.976571 2.117061 -4.990065 -0.2 0.0 -0.7
I 1.343949 -3.746694 0.632287 -0.3 1.3 1.2
C 0.746526 -2.474437 2.372707 0.5 -0.6 0.9
C 1.108352 -2.878215 3.625582 1.5 -1.9 -0.3
C 0.545017 -2.389494 4.818146 -0.6 0.8 0.5
C -0.306839 -1.320772 4.740442 -0.4 0.7 -1.3
C -0.695575 -0.786989 3.412350 1.1 -1.0 2.1
C -1.614165 0.274596 3.279983 -0.1 -0.3 -1.3
C -2.016602 0.629486 2.008431 -0.5 1.1 -0.9
C -1.440693 0.045198 0.825659 0.7 -0.5 2.4
C -0.377099 -0.844691 0.962854 -0.9 -0.3 -1.3
C -0.109046 -1.370448 2.244309 -0.7 0.9 -0.6
H 1.943845 -3.591912 3.708145 -0.8 -0.1 0.0
H 0.705853 -2.864195 5.809024 0.4 0.4 -0.9
H -0.632319 -0.810376 5.658789 -0.3 -0.4 -0.5
H -2.073555 0.726722 4.137051 0.0 0.2 0.4
H -2.721793 1.496085 1.856798 0.5 -1.1 0.4
H -1.818307 0.215212 -0.156308 -0.2 0.8 -0.3
Cl 3.859342 -1.455428 -1.920672 0.4 0.9 1.0
Si 3.378184 -2.138908 -3.866537 -1.4 -2.8 -0.2
Cl 4.452070 -0.983312 -5.145741 0.6 1.5 -0.8
Cl 1.037549 -1.473715 -3.766038 0.4 0.1 -0.5
```
Forces are in eV/Å.

## Properties
- Charge: -1
- LUMO energy (spin up / spin down): 0.0855 / 0.0854 Eh
- HOMO-LUMO gap (spin up / spin down): 6.87 / 7.14 eV
- ⟨S²⟩: 15.76
- Calculated total energy: -152179.590 eV
- ΔE to the lowest compared entry with this formula, charge and spin: 122.22 kJ/mol
- Multiplicity: 8

***

No. 2
The following is a quantum chemistry calculation of C18H22BN3O11P2Sc as an isolated structure in a non-equilibrium geometry, from the OMol25 dataset.

The geometry in XYZ format:
```
58
Properties=species:S:1:pos:R:3:forces:R:3
Sc -0.470700 1.141063 -0.136063 0.9 1.8 0.9
O -1.043642 5.100995 1.617748 0.0 0.1 -0.1
C -0.831201 3.927609 1.385903 0.1 -0.1 0.0
N -0.088149 3.346725 0.396601 -0.1 -0.3 0.0
C 0.782101 4.085031 -0.351488 0.1 -0.1 0.1
O 0.896338 5.289566 -0.460159 -0.1 0.1 0.0
C 1.795954 3.199472 -1.063566 -0.1 -0.1 0.1
C 2.703746 3.762636 -1.941634 0.1 0.1 -0.1
C 3.643192 2.941817 -2.538814 0.0 0.0 0.0
C 3.652254 1.588352 -2.232095 0.0 0.1 0.0
C 2.703056 1.108723 -1.350790 -0.1 0.0 0.1
N 1.794545 1.897143 -0.776398 -0.3 -0.2 0.0
C -1.384466 2.891851 2.354092 0.1 -0.1 -0.1
C -2.288276 3.266486 3.329750 -0.1 0.0 0.1
C -2.768725 2.296973 4.192646 0.0 0.0 0.0
C -2.318720 0.990990 4.063933 0.0 0.0 0.0
C -1.410448 0.703715 3.061915 0.1 0.1 -0.1
N -0.953922 1.638273 2.226138 0.0 -0.4 -0.2
H 2.641691 4.825251 -2.128839 0.0 0.0 0.0
H 4.360011 3.348928 -3.240462 0.0 0.0 0.0
H 4.367227 0.910183 -2.677935 0.0 0.0 0.0
H 2.645373 0.055774 -1.103404 0.0 0.0 0.0
H -2.594907 4.301466 3.376647 0.0 0.0 0.0
H -3.493783 2.553264 4.955639 0.0 0.0 0.0
H -2.674523 0.202386 4.713282 0.0 0.0 0.0
H -1.040198 -0.302128 2.901613 0.0 0.0 0.0
O -2.790588 2.334823 -2.881206 -0.2 0.1 0.0
P -1.848931 1.049402 -2.937441 0.2 -0.2 0.0
O -1.694509 0.574767 -4.309580 0.0 -0.1 0.0
O -0.591135 1.382252 -2.105292 -0.4 -0.3 -0.5
O -2.640024 -0.067712 -2.018404 -0.1 0.2 -0.1
P -3.334436 0.261070 -0.589987 0.0 0.2 -0.1
O -2.820639 -0.995712 0.289454 0.0 0.0 -0.1
O -4.790967 0.364482 -0.672676 0.0 0.0 0.0
O -2.509705 1.429605 -0.025455 -0.4 -0.5 -0.2
H -2.915177 2.667614 -1.981796 0.1 0.0 0.0
H -3.003040 -1.823395 -0.169026 0.0 -0.1 0.0
C 1.055280 -4.224789 1.619971 0.1 -0.1 0.1
C 1.319578 -3.112169 0.624836 -0.1 0.0 0.0
C 2.816344 -3.005930 0.350797 0.0 0.1 0.0
└──

Return all of the rows above without altering anything, please.

No. 1
The following is a quantum chemistry calculation of C16H6Cl8EuISi as an isolated structure in a non-equilibrium geometry, from the OMol25 dataset.

The geometry in XYZ format:
```
33
Properties=species:S:1:pos:R:3:forces:R:3
Eu 1.086970 -0.599923 -1.145211 -0.1 -0.4 0.5
Cl -2.483082 -0.306869 -2.738488 -0.5 0.0 -0.4
C -1.531953 1.125051 -2.891152 2.2 2.5 -0.4
C -0.432283 1.240747 -2.059238 1.1 -0.1 1.3
C 0.480854 2.323096 -1.932311 -2.7 -1.3 -1.8
Cl 1.847336 2.251508 -0.790211 -0.4 0.2 -0.2
C 0.301760 3.357888 -2.823444 -1.3 -0.7 -1.2
Cl 1.206615 4.797850 -2.711808 0.4 0.6 -0.3
C -0.712362 3.189508 -3.873323 0.9 -0.1 0.1
Cl -0.425533 4.096063 -5.380825 -0.6 -0.1 1.0
C -1.676445 2.150309 -3.901187 1.2 -0.5 2.1
Cl -2.976571 2.117061 -4.990065 -0.2 0.0 -0.7
I 1.343949 -3.746694 0.632287 -0.3 1.3 1.2
C 0.746526 -2.474437 2.372707 0.5 -0.6 0.9
C 1.108352 -2.878215 3.625582 1.5 -1.9 -0.3
C 0.545017 -2.389494 4.818146 -0.6 0.8 0.5
C -0.306839 -1.320772 4.740442 -0.4 0.7 -1.3
C -0.695575 -0.786989 3.412350 1.1 -1.0 2.1
C -1.614165 0.274596 3.279983 -0.1 -0.3 -1.3
C -2.016602 0.629486 2.008431 -0.5 1.1 -0.9
C -1.440693 0.045198 0.825659 0.7 -0.5 2.4
C -0.377099 -0.844691 0.962854 -0.9 -0.3 -1.3
C -0.109046 -1.370448 2.244309 -0.7 0.9 -0.6
H 1.943845 -3.591912 3.708145 -0.8 -0.1 0.0
H 0.705853 -2.864195 5.809024 0.4 0.4 -0.9
H -0.632319 -0.810376 5.658789 -0.3 -0.4 -0.5
H -2.073555 0.726722 4.137051 0.0 0.2 0.4
H -2.721793 1.496085 1.856798 0.5 -1.1 0.4
H -1.818307 0.215212 -0.156308 -0.2 0.8 -0.3
Cl 3.859342 -1.455428 -1.920672 0.4 0.9 1.0
Si 3.378184 -2.138908 -3.866537 -1.4 -2.8 -0.2
Cl 4.452070 -0.983312 -5.145741 0.6 1.5 -0.8
Cl 1.037549 -1.473715 -3.766038 0.4 0.1 -0.5
```
Forces are in eV/Å.

## Properties
- Charge: -1
- LUMO energy (spin up / spin down): 0.0855 / 0.0854 Eh
- HOMO-LUMO gap (spin up / spin down): 6.87 / 7.14 eV
- ⟨S²⟩: 15.76
- Calculated total energy: -152179.590 eV
- ΔE to the lowest compared entry with this formula, charge and spin: 122.22 kJ/mol
- Multiplicity: 8

***

No. 2
The following is a quantum chemistry calculation of C18H22BN3O11P2Sc as an isolated structure in a non-equilibrium geometry, from the OMol25 dataset.

The geometry in XYZ format:
```
58
Properties=species:S:1:pos:R:3:forces:R:3
Sc -0.470700 1.141063 -0.136063 0.9 1.8 0.9
O -1.043642 5.100995 1.617748 0.0 0.1 -0.1
C -0.831201 3.927609 1.385903 0.1 -0.1 0.0
N -0.088149 3.346725 0.396601 -0.1 -0.3 0.0
C 0.782101 4.085031 -0.351488 0.1 -0.1 0.1
O 0.896338 5.289566 -0.460159 -0.1 0.1 0.0
C 1.795954 3.199472 -1.063566 -0.1 -0.1 0.1
C 2.703746 3.762636 -1.941634 0.1 0.1 -0.1
C 3.643192 2.941817 -2.538814 0.0 0.0 0.0
C 3.652254 1.588352 -2.232095 0.0 0.1 0.0
C 2.703056 1.108723 -1.350790 -0.1 0.0 0.1
N 1.794545 1.897143 -0.776398 -0.3 -0.2 0.0
C -1.384466 2.891851 2.354092 0.1 -0.1 -0.1
C -2.288276 3.266486 3.329750 -0.1 0.0 0.1
C -2.768725 2.296973 4.192646 0.0 0.0 0.0
C -2.318720 0.990990 4.063933 0.0 0.0 0.0
C -1.410448 0.703715 3.061915 0.1 0.1 -0.1
N -0.953922 1.638273 2.226138 0.0 -0.4 -0.2
H 2.641691 4.825251 -2.128839 0.0 0.0 0.0
H 4.360011 3.348928 -3.240462 0.0 0.0 0.0
H 4.367227 0.910183 -2.677935 0.0 0.0 0.0
H 2.645373 0.055774 -1.103404 0.0 0.0 0.0
H -2.594907 4.301466 3.376647 0.0 0.0 0.0
H -3.493783 2.553264 4.955639 0.0 0.0 0.0
H -2.674523 0.202386 4.713282 0.0 0.0 0.0
H -1.040198 -0.302128 2.901613 0.0 0.0 0.0
O -2.790588 2.334823 -2.881206 -0.2 0.1 0.0
P -1.848931 1.049402 -2.937441 0.2 -0.2 0.0
O -1.694509 0.574767 -4.309580 0.0 -0.1 0.0
O -0.591135 1.382252 -2.105292 -0.4 -0.3 -0.5
O -2.640024 -0.067712 -2.018404 -0.1 0.2 -0.1
P -3.334436 0.261070 -0.589987 0.0 0.2 -0.1
O -2.820639 -0.995712 0.289454 0.0 0.0 -0.1
O -4.790967 0.364482 -0.672676 0.0 0.0 0.0
O -2.509705 1.429605 -0.025455 -0.4 -0.5 -0.2
H -2.915177 2.667614 -1.981796 0.1 0.0 0.0
H -3.003040 -1.823395 -0.169026 0.0 -0.1 0.0
C 1.055280 -4.224789 1.619971 0.1 -0.1 0.1
C 1.319578 -3.112169 0.624836 -0.1 0.0 0.0
C 2.816344 -3.005930 0.350797 0.0 0.1 0.0